Praying Woman Sees First Snow in Texas and Knows Her Husband Is Healed

God answered a Texas family’s prayers through two extraordinary miracles – a complete healing of a failing heart and the first-ever Christmas snowfall in McAllen’s history.

godwinks story toni and david

(Someone pasted data records at this point)
┌──
ORCA calculation (the ωB97M-V functional and the def2-TZVPD basis) on a molecular structure, C88H213N13O30 at a distorted geometry.

```
! wB97M-V def2-TZVPD RIJCOSX def2/J DEFGRID3
* xyz 6 1
C 6.350 6.841 -0.743
C 4.941 6.367 -0.493
C 4.803 5.630 0.851
N 3.378 5.133 1.145
C 3.438 4.566 2.628
C 3.969 3.188 2.755
C 3.298 2.146 1.844
C 3.378 2.649 0.423
C 2.806 4.030 0.166
C 2.376 6.231 1.062
H 6.955 5.935 -0.783
H 6.601 7.676 -0.090
H 6.408 7.296 -1.732
H 4.600 5.789 -1.352
H 4.297 7.247 -0.509
H 5.145 6.246 1.682
H 5.357 4.697 0.962
H 3.981 5.246 3.284
H 2.432 4.619 3.045
H 5.030 3.341 2.559
H 3.825 2.861 3.785
H 3.871 1.231 1.997
H 2.255 1.969 2.107
H 4.374 2.863 0.034
H 2.909 1.875 -0.184
H 2.861 4.379 -0.865
H 1.770 3.931 0.491
H 2.376 6.488 0.002
H 2.755 7.051 1.672
H 1.361 5.980 1.370
C -0.359 -4.019 7.838
C -0.451 -4.998 6.664
C 0.387 -6.326 6.917
N 0.209 -7.348 5.732
C 1.277 -8.488 5.985
C 0.907 -9.588 7.025
C -0.504 -9.981 7.045
C -1.503 -8.834 6.830
C -1.216 -7.884 5.626
C 0.521 -6.687 4.332
H -0.592 -4.484 8.796
H -1.187 -3.315 7.764
H 0.569 -3.449 7.901
H -0.041 -4.534 5.768
H -1.519 -5.165 6.519
H -0.133 -6.858 7.714
H 1.427 -6.038 7.063
H 2.257 -8.077 6.227
H 1.467 -8.975 5.028
H 1.240 -9.202 7.988
H 1.464 -10.489 6.767
H -0.653 -10.599 7.931
H -0.789 -10.572 6.175
H -1.734 -8.255 7.724
H -2.480 -9.271 6.623
H -1.923 -7.064 5.504
H -1.284 -8.517 4.741
H -0.092 -5.801 4.166
H 0.513 -7.459 3.563
H 1.521 -6.268 4.226
C -0.940 6.003 -0.062
C -2.331 5.911 -0.745
C -3.092 4.662 -0.282
N -4.604 4.873 0.188
C -5.249 3.449 0.379
C -6.549 3.486 1.180
C -6.373 4.252 2.545
C -5.971 5.709 2.306
C -4.649 5.658 1.509
C -5.435 5.627 -0.820
H -0.641 4.963 -0.196
H -1.072 6.094 1.016
H -0.231 6.778 -0.352
H -2.090 5.869 -1.807
H -2.875 6.840 -0.576
H -2.647 4.095 0.535
H -3.228 4.066 -1.185
H -4.452 2.831 0.793
H -5.429 3.082 -0.631
H -6.842 2.441 1.273
H -7.295 3.955 0.539
H -5.662 3.693 3.152
H -7.353 4.127 3.006
H -5.662 6.255 3.198
H -6.649 6.317 1.708
H -3.910 5.131 2.112
H -4.185 6.607 1.241
H -6.495 5.496 -0.603
H -5.269 5.147 -1.785
H -5.198 6.687 -0.907
C 8.485 -3.447 -3.058
C 8.638 -3.130 -1.557
C 7.369 -3.518 -0.705
N 7.355 -3.022 0.748
C 6.179 -3.731 1.554
C 4.840 -3.305 0.919
C 4.624 -1.801 0.982
C 5.807 -0.983 0.418
C 7.157 -1.475 0.952
C 8.667 -3.245 1.501
H 7.667 -2.863 -3.479
H 8.201 -4.484 -3.241
H 9.404 -3.258 -3.612
H 8.873 -2.088 -1.341
H 9.483 -3.739 -1.236
H 7.330 -4.602 -0.805
H 6.445 -3.167 -1.164
H 6.324 -4.811 1.544
H 6.281 -3.433 2.598
H 4.765 -3.734 -0.081
H 4.052 -3.773 1.509
H 3.724 -1.604 0.398
H 4.395 -1.413 1.974
H 5.878 -1.053 -0.667
H 5.630 0.080 0.582
H 7.967 -0.969 0.426
H 7.266 -1.276 2.018
H 8.695 -2.862 2.521
H 9.342 -2.600 0.939
H 8.982 -4.284 1.403
C -2.094 -3.025 -6.725
N -0.837 -3.375 -5.962
C -1.067 -4.839 -5.338
C 0.410 -3.499 -6.902
C -0.578 -2.376 -4.805
C -0.713 -0.882 -5.249
O 0.454 -0.577 -6.010
H -2.016 -2.067 -7.239
H -2.930 -3.062 -6.026
H -2.350 -3.744 -7.503
H -1.164 -5.610 -6.102
└──

God works in amazing ways to remind us that miracles still happen right here in our time. When we put our complete trust and hope in Him during our darkest times, He shows us His unfailing love through signs and wonders that we never thought possible.

Fifteen years ago, David Espinoza and his wife Toni faced a frightening situation at the DeBakey Heart Institute in Houston. Doctors told them David’s heart was working at just 10% of its normal function.

**Calculated molecules that have nothing to do with the article:**
____________
[1]
14
Properties=species:S:1:pos:R:3:mulliken_charge:R:1 method="wB97M-V/def2-TZVPD" de_lowest_kj_mol=149.3 charge=0 energy_ev=-5782.2648 homo_lumo_gap_ev=11.10 smiles="C=NCCC" homo_ev=-9.871
C -1.719 -0.510 -1.305 -0.323
C 0.888 1.354 0.302 -0.891
C 1.146 -0.178 0.531 -0.510
C -0.267 -0.819 0.415 -0.541
N -0.618 -0.988 -0.987 -0.371
H -1.921 -0.749 -2.348 0.272
H -2.325 -0.088 -0.518 0.280
H 0.406 1.555 -0.710 0.265
H 0.215 1.629 1.185 0.253
H 1.929 1.940 0.423 0.268
H 1.567 -0.537 1.503 0.319
H 1.811 -0.475 -0.358 0.265
H -0.087 -1.770 0.915 0.303
H -1.023 -0.363 0.953 0.413

[2]
13
Properties=species:S:1:pos:R:3:mulliken_charge:R:1 method="wB97M-V/def2-TZVPD" de_lowest_kj_mol=352.2 charge=+1 energy_ev=-19617.6975 homo_lumo_gap_ev=10.72 smiles=C1CSC2([NH2+]1)OO2 homo_ev=-14.501
C 0.231 0.768 0.783 -0.563
C 1.452 -0.072 0.460 -0.527
C -0.532 -0.470 -1.130 0.528
N -0.925 0.020 0.227 -0.143
O -1.459 -1.488 -1.637 -0.226
O -1.360 -0.155 -2.134 -0.239
S 1.224 -0.609 -1.284 -0.006
H 0.113 0.915 1.859 0.337
H 0.283 1.739 0.283 0.351
H 2.372 0.506 0.507 0.385
H 1.541 -0.949 1.101 0.362
H -1.158 -0.801 0.811 0.375
H -1.781 0.596 0.154 0.368

[3]
116
Properties=species:S:1:pos:R:3:mulliken_charge:R:1 method="wB97M-V/def2-TZVPD" charge=-1 energy_ev=-112570.7092 homo_lumo_gap_ev="6.10 / 6.08" homo_ev="-4.468 / -4.474"
Os 1.155 0.481 0.379 3.152
S 2.861 0.340 1.884 -0.603
C 2.441 1.550 3.083 0.750
C 3.398 1.990 3.989 -1.160
C 3.107 2.991 4.906 0.565
C 4.121 3.434 5.815 -0.138
N 4.941 3.772 6.548 -0.589
C 1.818 3.554 4.927 0.433
C 0.850 3.093 4.049 -1.004
C 1.142 2.088 3.126 0.235
S -0.074 1.506 2.034 -0.174
C 1.490 4.615 5.834 -0.143
N 1.216 5.457 6.568 -0.585
H 4.391 1.558 3.967 0.543
H -0.141 3.528 4.070 0.534
C 2.911 3.909 -2.473 -1.768
C 2.347 3.533 -1.102 2.424
C 3.174 4.144 0.026 -1.821
C 0.889 3.910 -1.008 0.823
C 0.540 5.257 -0.984 -0.356
C -0.781 5.658 -0.958 -1.568
C -1.781 4.702 -0.930 -0.639
C -1.486 3.344 -0.928 0.888
C -2.636 2.366 -0.797 1.867
C -3.559 2.406 -2.018 -1.674
C -3.434 2.623 0.483 -1.545
C -0.137 2.955 -0.990 -1.021
N 0.189 1.549 -1.007 0.967
C -0.124 0.826 -2.059 -0.257
C -0.167 -0.572 -1.815 0.578
N 0.134 -0.988 -0.594 0.432
C -0.316 -2.337 -0.293 -1.836
C -1.696 -2.438 -0.032 1.410
C -2.250 -3.675 0.276 -0.523
C -1.465 -4.805 0.345 -1.459
C -0.113 -4.696 0.078 -0.643
C 0.498 -3.487 -0.253 0.873
C 1.977 -3.582 -0.579 0.290
C 2.847 -2.952 0.502 -1.300
C 2.295 -3.104 -1.996 -0.827
C -2.633 -1.243 -0.046 2.143
C -3.659 -1.345 -1.178 -1.835
C -3.351 -1.067 1.295 -1.614
C -0.623 -1.232 -3.058 0.209
C -0.875 -2.516 -3.459 0.804
C -1.285 -2.737 -4.800 -1.299
C -1.438 -1.717 -5.704 -0.981
C -1.184 -0.376 -5.314 0.853
C -1.285 0.789 -6.123 -0.930
C -0.994 2.022 -5.597 -1.140
C -0.594 2.200 -4.245 0.401
C -0.492 1.093 -3.451 0.057
C -0.784 -0.182 -3.999 -0.553
H 3.944 3.569 -2.546 0.416
H 2.886 4.992 -2.628 0.393
H 2.335 3.445 -3.280 0.262
H 2.431 2.459 -0.998 -1.189
H 3.235 5.234 -0.056 0.386
H 4.183 3.735 -0.007 0.406
____________

Without a heart transplant, he would die. The wait for a donor heart could take nine months or more – time that David might not have left.

Toni turned to their community for help, asking their church, family, and friends to pray for a donor heart. But as she prayed, something didn’t feel right in her spirit.

The thought that someone would need to die for her husband to live through a transplant started to trouble her deeply. This led her to change what she was asking God to do.

Instead of praying for a donor heart, Toni began to ask God to heal David’s heart completely. She also asked for a special sign that God would answer her prayer – snow in McAllen, Texas, on Christmas Day.

When she told her childhood friend Crawford about this request, her friend reminded her that McAllen, just nine miles from the Mexican border, hadn’t seen snow in 109 years.

The winter temperature there usually stays around 75 degrees. But Toni’s faith didn’t waver. She told her friend with confidence, “I know God is going to answer my prayers.”

At 11:45 p.m. on Christmas Eve, God started to show His answer. One of the Espinoza daughters looked outside and saw something incredible – snow falling in their backyard.

## What comes next are calculated molecules, not part of the entry
********
Record 1
The following is a DFT calculation (ωB97M-V/def2-TZVPD) of a cluster of 12 separate species, C30H91N7O12 in total in a non-equilibrium geometry.

Computed properties:
* DFT total energy: -2483.51408 Eh
* relative energy (zero: lowest compared OMol25 entry of this formula, charge and spin): 0.204 eV
* charge: 0
* E_LUMO: 0.0029 Eh
* Kohn-Sham gap: 8.41 eV
* HOMO level: -8.3 eV

```
140
C30H91N7O12, DFT ωB97M-V/def2-TZVPD
O -4.625 -0.007 -2.443
O -2.837 -2.134 -3.874
O -3.922 -0.275 3.713
O 0.022 5.030 -1.044
O 3.085 3.920 1.172
O 3.174 -1.967 -2.998
O -0.156 -2.100 -3.674
O 0.160 -4.746 -0.036
O 1.959 -2.635 0.577
O 5.070 -2.334 5.263
O 0.706 -1.019 -1.099
O -0.421 2.643 -5.594
N -2.082 -3.471 3.589
N 2.212 -2.331 4.796
N -4.956 3.513 -1.390
N 1.411 -0.189 -5.467
N 3.346 0.596 -0.669
N 2.938 -4.956 -0.521
N -2.835 4.517 1.324
C -1.051 -0.348 0.404
C -2.692 -2.352 4.314
C -0.165 1.618 -4.590
C 0.660 -5.970 -0.581
C -4.530 -0.842 -1.288
C -1.435 4.666 0.939
C 3.597 2.055 -0.446
C -3.100 -1.343 3.205
C 6.123 -2.207 6.181
C 2.958 2.878 -1.585
C 2.341 2.023 -5.287
C -4.363 0.654 2.736
C -0.380 -0.139 -0.926
C 3.228 -1.572 4.042
C -1.831 -1.765 5.434
C 2.116 -6.132 -0.145
C -0.710 3.510 1.670
C -6.639 1.913 -1.958
C 3.092 2.492 0.962
C 0.205 4.879 -2.431
C 4.325 4.548 1.123
C 2.384 -6.463 1.295
C 2.526 -0.324 3.491
C -5.290 2.069 -1.317
C -1.714 3.236 -5.649
C -1.239 -4.633 -0.052
C 1.292 1.059 -4.728
C 4.415 -1.136 4.944
C -4.182 1.301 -2.154
C -1.284 4.717 -0.605
H 0.041 -1.737 -2.797
H -6.648 2.036 -3.041
H -1.848 -2.526 6.216
H -1.641 -1.266 0.351
H -3.614 -2.819 4.670
H 0.704 3.985 -2.805
H 3.410 2.606 -2.540
H 4.676 2.210 -0.472
H 2.524 2.904 -4.670
H 0.790 -0.786 -4.933
H -2.763 4.464 2.332
H 3.314 1.548 -5.407
H -1.954 5.399 -1.133
H 4.139 -0.613 5.863
H -0.301 2.184 -3.664
H -0.702 5.032 -3.020
H 4.154 5.607 0.919
H 1.846 -0.508 2.658
H 2.349 0.429 -0.763
H 3.656 0.514 -1.631
H 1.373 -2.874 1.306
H -0.828 -1.621 5.034
H -0.303 -0.375 1.195
H -2.290 -0.848 5.800
H 1.784 -7.313 1.623
H 5.726 -1.886 7.149
H -3.559 -0.762 -0.799
H 0.375 3.513 1.559
H 2.839 -2.864 -2.960
H 3.124 3.935 -1.377
H -1.006 5.540 1.436
H -5.535 4.115 -0.819
H 5.133 -0.515 4.402
H -2.076 -4.250 4.236
H -3.960 1.865 -3.060
H -4.841 1.463 3.290
H 0.435 -2.849 -3.763
H -2.019 3.829 -4.786
H 2.181 -5.614 1.949
H -1.569 -3.942 0.725
H -5.207 0.308 2.134
H 0.574 -5.914 -1.669
H -3.565 -1.846 2.353
H 2.789 -3.076 5.174
H -1.837 -5.543 -0.001
H -0.073 0.914 -0.898
H 1.919 2.563 -1.690
H 5.018 4.377 0.294
H -5.216 1.621 -0.323
H -1.643 3.851 -6.546
H 1.904 0.193 4.224
H -0.995 0.911 -4.532
H 6.926 -1.512 5.928
H -3.176 -1.563 -3.180
H 0.956 0.010 -6.350
H -1.015 2.551 1.247
H 3.555 -2.240 3.245
H 2.242 -3.409 0.044
H 1.951 2.350 -6.253
H 2.665 -4.750 -1.475
H -2.208 -0.903 2.752
H -3.567 1.069 2.116
H -1.464 3.698 -0.962
H -1.839 0.380 0.611
H 2.471 -7.073 -0.577
H 2.065 2.139 1.075
H -1.044 -0.157 -1.796
H 1.445 -2.025 -0.006
H -4.037 3.633 -0.981
H 3.404 -6.783 1.512
********
## End of the calculated molecules

Toni ran outside without a coat and saw snow covering her rose bushes that were still in full bloom. As snowflakes fell on her dark hair, she looked up at the sky and kept whispering, “Thank you, thank you, thank you!”

prayer answered toni espinoza

The National Weather Service measured 3.5 inches of snow that day – marking the first White Christmas in McAllen since they started keeping weather records more than 150 years ago.

Children all over McAllen played in snow for the first time, making snow angels and snowmen. The local newspaper captured the excitement with its headline: “First White Christmas Ever!”

But God had an even bigger miracle planned. Three weeks later, when David went to his doctor’s appointment, the doctor looked at his test results in amazement. “David, I don’t understand how this happened,” the doctor said, “but you’re going to live for a long, long time… Your heart is completely healed.”

David and Toni held each other and cried, thanking God for this incredible answer to their prayers.

Now, almost ten years after that snowy Christmas miracle, David remains in good health.

Our God still performs miracles today, answering prayers in ways that doctors can’t explain and that go against nature itself. The Espinozas’ story shows us that when we trust God completely and pray according to His will, nothing stands in His way.

If you’re going through a hard time – whether it’s a health crisis or any other problem that seems impossible to solve – remember this story.

God can take what looks impossible to us and turn it into a miracle that shows everyone His power and love.

Verse of the Day

“But he knows the way that I take; when he has tested me, I will come forth as gold. My feet have closely followed his steps; I have kept to his way without turning aside.”

Job 23:10-11